Assignment.
Now give back everything further below word for word.

Input.
┌──
--- w ---
Computed, not measured: the molecule C3H5N3O, with ωB97M-V/def2-TZVPD.

Structure (ORCA input):
```
! wB97M-V def2-TZVPD RIJCOSX def2/J DEFGRID3
* xyz 0 1
N 0.476 1.742 0.132
C 0.467 0.339 0.108
C 1.595 -0.378 -0.081
O 1.364 -1.686 -0.057
N 0.003 -1.887 0.151
C -0.532 -0.695 0.259
N -1.881 -0.562 0.556
H 0.158 2.229 -0.689
H 0.276 2.200 1.004
H 2.596 0.000 -0.227
H -2.357 0.141 0.006
H -2.367 -1.451 0.516
*
```

Summary:
SMILES: Nc1conc1N

Here are the Löwdin charges for atoms 1 to 8, given in e: 0.070, -0.268, -0.078, -0.039, 0.095, -0.363, 0.112, 0.076

--- x ---
Computed, not measured: the molecule C3H5N3O, with ωB97M-V/def2-TZVPD.

Structure (ORCA input):
```
! wB97M-V def2-TZVPD RIJCOSX def2/J DEFGRID3
* xyz 0 1
H -0.689 2.464 -0.526
N -1.064 1.546 -0.164
C -0.117 0.771 0.124
C 1.416 0.849 0.161
N 1.694 -0.665 -0.188
C 0.612 -1.221 -0.132
N -0.434 -0.531 0.265
O -1.764 -0.933 0.004
H 1.802 1.520 -0.684
H 2.007 0.994 1.129
H 0.395 -2.228 -0.348
H -2.243 -0.124 0.087
*
```

Summary:
SMILES: [H]/N=C1\CN=CN1O

Here are the Löwdin charges for atoms 1 to 8, given in e: 0.088, 0.138, -0.413, -0.045, 0.071, -0.267, -0.087, 0.059

Which structure is the least stable? The one labeled x.

--- w ---
Computed, not measured: a cluster of 2 separate species, C3H5N3O in total, with ωB97M-V/def2-TZVPD.

Structure (ORCA input):
```
! wB97M-V def2-TZVPD RIJCOSX def2/J DEFGRID3
* xyz 0 1
C 0.439 0.658 0.683
C -0.818 0.883 0.165
C -1.170 -0.040 -0.701
H 1.901 -2.043 0.065
H 2.007 -1.401 -1.395
H 1.176 1.100 1.229
H -1.827 1.741 1.791
H -2.313 -0.184 -1.074
N 2.057 -1.050 -0.205
N 0.749 -0.540 0.024
N -0.233 -0.898 -0.929
O -1.967 1.773 0.345
*
```

Here are the Löwdin charges for atoms 1 to 8, given in e: 0.031, -0.406, -0.203, 0.064, 0.188, 0.087, 0.321, 0.184

--- x ---
Computed, not measured: the molecule C3H5N3O, with ωB97M-V/def2-TZVPD.

Structure (ORCA input):
```
! wB97M-V def2-TZVPD RIJCOSX def2/J DEFGRID3
* xyz 0 1
N 1.825 -0.169 0.076
C 0.447 -0.193 0.189
C -0.456 0.941 0.352
N -1.602 0.592 -0.407
C -1.653 -0.774 -0.538
O -0.369 0.027 1.430
N -0.332 -1.159 -0.486
H 2.391 -0.976 -0.102
H 2.361 0.674 0.043
H -0.172 1.978 0.549
H -2.444 1.143 -0.371
H 0.005 -2.083 -0.735
*
```

Here are the Löwdin charges for atoms 1 to 8, given in e: 0.154, -0.481, -0.267, 0.024, -0.063, -0.001, 0.051, 0.088

Which structure is the least stable? The one labeled w.

--- w ---
Computed, not measured: the molecule C3H5N3O, with ωB97M-V/def2-TZVPD.

Structure (ORCA input):
```
! wB97M-V def2-TZVPD RIJCOSX def2/J DEFGRID3
* xyz 0 1
H 0.190 -3.416 -1.126
N 0.213 -2.427 -0.918
C -0.937 -1.977 -0.609
N -1.058 -0.629 -0.311
C 0.036 -0.061 -0.347
N 1.047 0.605 -0.351
C 0.640 1.929 0.195
O 0.578 1.904 1.580
H -1.878 -2.517 -0.556
H 1.365 2.624 -0.219
H -0.372 2.186 -0.140
H 1.446 1.643 1.912
*
```

Summary:
SMILES: [H]/N=C/N=C=NCO

Here are the Löwdin charges for atoms 1 to 8, given in e: 0.042, 0.087, -0.307, 0.130, -0.247, 0.153, -0.287, -0.023

--- x ---
Computed, not measured: the molecule C3H5N3O, with ωB97M-V/def2-TZVPD.

Structure (ORCA input):
```
! wB97M-V def2-TZVPD RIJCOSX def2/J DEFGRID3
* xyz 0 1
H -1.865 -0.267 -1.825
N -1.244 0.567 -1.910
C -0.315 0.698 -1.092
N -0.032 -0.170 0.030
C -1.108 -0.828 0.674
O -0.952 -1.495 1.647
C 1.177 -0.086 0.766
N 1.998 0.815 0.279
H 2.833 0.664 0.827
H 0.354 1.488 -1.147
H -2.093 -0.594 0.188
H 1.246 -0.793 1.563
*
```

Summary:
SMILES: [H]/N=C\N(C=O)/C=N/[H]

Here are the Löwdin charges for atoms 1 to 8, given in e: 0.062, 0.114, -0.229, -0.037, -0.283, 0.064, -0.164, 0.097

Which structure is the least stable? The one labeled w.

--- w ---
Computed, not measured: a cluster of 2 separate species, C4H12 in total, with ωB97M-V/def2-TZVPD.

Structure (ORCA input):
```
! wB97M-V def2-TZVPD RIJCOSX def2/J DEFGRID3
* xyz -1 2
C -1.275 -0.987 1.536
C -0.580 -2.299 1.837
H -1.490 -0.787 0.485
H -2.240 -0.902 2.031
H -0.555 -0.204 1.793
H 0.131 -2.625 1.071
H 0.069 -2.201 2.717
H -1.240 -3.145 2.042
└──

Completed.
--- w ---
Computed, not measured: the molecule C3H5N3O, with ωB97M-V/def2-TZVPD.

Structure (ORCA input):
```
! wB97M-V def2-TZVPD RIJCOSX def2/J DEFGRID3
* xyz 0 1
N 0.476 1.742 0.132
C 0.467 0.339 0.108
C 1.595 -0.378 -0.081
O 1.364 -1.686 -0.057
N 0.003 -1.887 0.151
C -0.532 -0.695 0.259
N -1.881 -0.562 0.556
H 0.158 2.229 -0.689
H 0.276 2.200 1.004
H 2.596 0.000 -0.227
H -2.357 0.141 0.006
H -2.367 -1.451 0.516
*
```

Summary:
SMILES: Nc1conc1N

Here are the Löwdin charges for atoms 1 to 8, given in e: 0.070, -0.268, -0.078, -0.039, 0.095, -0.363, 0.112, 0.076

--- x ---
Computed, not measured: the molecule C3H5N3O, with ωB97M-V/def2-TZVPD.

Structure (ORCA input):
```
! wB97M-V def2-TZVPD RIJCOSX def2/J DEFGRID3
* xyz 0 1
H -0.689 2.464 -0.526
N -1.064 1.546 -0.164
C -0.117 0.771 0.124
C 1.416 0.849 0.161
N 1.694 -0.665 -0.188
C 0.612 -1.221 -0.132
N -0.434 -0.531 0.265
O -1.764 -0.933 0.004
H 1.802 1.520 -0.684
H 2.007 0.994 1.129
H 0.395 -2.228 -0.348
H -2.243 -0.124 0.087
*
```

Summary:
SMILES: [H]/N=C1\CN=CN1O

Here are the Löwdin charges for atoms 1 to 8, given in e: 0.088, 0.138, -0.413, -0.045, 0.071, -0.267, -0.087, 0.059

Which structure is the least stable? The one labeled x.

--- w ---
Computed, not measured: a cluster of 2 separate species, C3H5N3O in total, with ωB97M-V/def2-TZVPD.

Structure (ORCA input):
```
! wB97M-V def2-TZVPD RIJCOSX def2/J DEFGRID3
* xyz 0 1
C 0.439 0.658 0.683
C -0.818 0.883 0.165
C -1.170 -0.040 -0.701
H 1.901 -2.043 0.065
H 2.007 -1.401 -1.395
H 1.176 1.100 1.229
H -1.827 1.741 1.791
H -2.313 -0.184 -1.074
N 2.057 -1.050 -0.205
N 0.749 -0.540 0.024
N -0.233 -0.898 -0.929
O -1.967 1.773 0.345
*
```

Here are the Löwdin charges for atoms 1 to 8, given in e: 0.031, -0.406, -0.203, 0.064, 0.188, 0.087, 0.321, 0.184

--- x ---
Computed, not measured: the molecule C3H5N3O, with ωB97M-V/def2-TZVPD.

Structure (ORCA input):
```
! wB97M-V def2-TZVPD RIJCOSX def2/J DEFGRID3
* xyz 0 1
N 1.825 -0.169 0.076
C 0.447 -0.193 0.189
C -0.456 0.941 0.352
N -1.602 0.592 -0.407
C -1.653 -0.774 -0.538
O -0.369 0.027 1.430
N -0.332 -1.159 -0.486
H 2.391 -0.976 -0.102
H 2.361 0.674 0.043
H -0.172 1.978 0.549
H -2.444 1.143 -0.371
H 0.005 -2.083 -0.735
*
```

Here are the Löwdin charges for atoms 1 to 8, given in e: 0.154, -0.481, -0.267, 0.024, -0.063, -0.001, 0.051, 0.088

Which structure is the least stable? The one labeled w.

--- w ---
Computed, not measured: the molecule C3H5N3O, with ωB97M-V/def2-TZVPD.

Structure (ORCA input):
```
! wB97M-V def2-TZVPD RIJCOSX def2/J DEFGRID3
* xyz 0 1
H 0.190 -3.416 -1.126
N 0.213 -2.427 -0.918
C -0.937 -1.977 -0.609
N -1.058 -0.629 -0.311
C 0.036 -0.061 -0.347
N 1.047 0.605 -0.351
C 0.640 1.929 0.195
O 0.578 1.904 1.580
H -1.878 -2.517 -0.556
H 1.365 2.624 -0.219
H -0.372 2.186 -0.140
H 1.446 1.643 1.912
*
```

Summary:
SMILES: [H]/N=C/N=C=NCO

Here are the Löwdin charges for atoms 1 to 8, given in e: 0.042, 0.087, -0.307, 0.130, -0.247, 0.153, -0.287, -0.023

--- x ---
Computed, not measured: the molecule C3H5N3O, with ωB97M-V/def2-TZVPD.

Structure (ORCA input):
```
! wB97M-V def2-TZVPD RIJCOSX def2/J DEFGRID3
* xyz 0 1
H -1.865 -0.267 -1.825
N -1.244 0.567 -1.910
C -0.315 0.698 -1.092
N -0.032 -0.170 0.030
C -1.108 -0.828 0.674
O -0.952 -1.495 1.647
C 1.177 -0.086 0.766
N 1.998 0.815 0.279
H 2.833 0.664 0.827
H 0.354 1.488 -1.147
H -2.093 -0.594 0.188
H 1.246 -0.793 1.563
*
```

Summary:
SMILES: [H]/N=C\N(C=O)/C=N/[H]

Here are the Löwdin charges for atoms 1 to 8, given in e: 0.062, 0.114, -0.229, -0.037, -0.283, 0.064, -0.164, 0.097

Which structure is the least stable? The one labeled w.

--- w ---
Computed, not measured: a cluster of 2 separate species, C4H12 in total, with ωB97M-V/def2-TZVPD.

Structure (ORCA input):
```
! wB97M-V def2-TZVPD RIJCOSX def2/J DEFGRID3
* xyz -1 2
C -1.275 -0.987 1.536
C -0.580 -2.299 1.837
H -1.490 -0.787 0.485
H -2.240 -0.902 2.031
H -0.555 -0.204 1.793
H 0.131 -2.625 1.071
H 0.069 -2.201 2.717
H -1.240 -3.145 2.042